To do:
Could you filter the listing underneath: keep the lines with the word "results"?

Listing:
'''
{"formula": "TeRuW2", "functional": "PBE", "state": "relaxed", "cell": [[-3.183, 2.150, -2.482], [-1.182, -1.627, -4.107], [-4.108, -1.917, -0.605]], "species": ["W", "W", "Te", "Ru"], "frac_coords": [[0.000, 0.000, 0.000], [0.750, 0.750, 0.750], [0.250, 0.250, 0.250], [0.500, 0.500, 0.500]], "spacegroup": "No. 216", "formation_energy_uncorrected_ev_per_atom": 0.676, "e_tot_ev_per_cell": -35.62, "m_tot_mub_per_fu": 0.000}

***

{"formula": "Rb2CaIBr3", "functional": "PBE", "state": "relaxed", "cell": [[6.150, 0.000, 0.000], [0.000, 5.741, 0.000], [-3.075, -2.870, 8.743]], "species": ["Br", "Br", "Rb", "Ca", "Rb", "I", "Br"], "frac_coords": [[0.000, 0.500, 0.000], [0.836, 0.836, 0.671], [0.356, 0.356, 0.713], [0.000, 0.000, 0.000], [0.644, 0.644, 0.287], [0.500, 0.000, 0.000], [0.164, 0.164, 0.329]], "spacegroup": "No. 71", "formation_energy_uncorrected_ev_per_atom": -1.761, "e_tot_ev_per_cell": -22.83, "m_tot_mub_per_fu": 0.000}

----------

1.
DFT (PBE) results for a relaxed structure of MgNCl2.

Unit cell a=7.596 b=7.596 c=7.596 alpha=43.97 beta=43.97 gamma=43.97
Fractional coordinates of all 4 atoms:
Mg 0.000 0.000 0.000
N 0.500 0.500 0.500
Cl 0.106 0.106 0.106
Cl 0.894 0.894 0.894

Summary:
formation energy without anion corrections = 435 meV per atom
relative energy among the computed polymorphs = 530.7 meV per atom
electronic total energy = -2.968 eV/atom

***

2.
DFT (PBE) results for a relaxed structure of YCCl3.

Unit cell a=4.505 b=4.505 c=4.505 alpha=90.00 beta=90.00 gamma=90.00
Fractional coordinates of all 5 atoms:
Y 0.000 0.000 0.000
C 0.500 0.500 0.500
Cl 0.000 0.500 0.500
Cl 0.500 0.000 0.500
Cl 0.500 0.500 0.000

Summary:
formation energy without anion corrections = 285 meV per atom
relative energy among the computed polymorphs = 489.1 meV per atom
electronic total energy = -3.961 eV/atom

***

3.
DFT (PBE) results for a relaxed structure of PuGa3Au5.

Unit cell a=7.041 b=7.041 c=15.742 alpha=90.00 beta=90.00 gamma=153.10
Fractional coordinates of all 18 atoms:
Pu 0.200 0.800 0.750
Pu 0.800 0.200 0.250
Ga 0.087 0.913 0.250
Ga 0.343 0.657 0.034
Ga 0.343 0.657 0.466
Ga 0.657 0.343 0.534
Ga 0.657 0.343 0.966
Ga 0.913 0.087 0.750
Au 0.000 0.000 0.000
Au 0.000 0.000 0.500
Au 0.175 0.825 0.106
Au 0.175 0.825 0.394
Au 0.473 0.527 0.157
Au 0.473 0.527 0.343
Au 0.527 0.473 0.657
Au 0.527 0.473 0.843
Au 0.825 0.175 0.606
Au 0.825 0.175 0.894

Summary:
electronic total energy = -4.685 eV/atom
DFT formation energy = -263 meV per atom

***

4.
DFT (PBE) results for a relaxed structure of Ac2AsPPt6.

Unit cell a=6.961 b=6.961 c=6.961 alpha=128.58 beta=128.58 gamma=75.69
Fractional coordinates of all 10 atoms:
Ac 0.000 0.500 0.500
Ac 0.500 0.000 0.500
As 0.143 0.143 0.000
P 0.637 0.637 0.000
Pt 0.425 0.425 0.000
Pt 0.508 0.508 0.513
Pt 0.508 0.995 0.000
Pt 0.923 0.923 0.000
Pt 0.995 0.508 0.000
Pt 0.995 0.995 0.487

Summary:
electronic total energy = -6.392 eV/atom
DFT formation energy = -940 meV per atom

***

5.
DFT (PBE) results for a relaxed structure of FeCo.

Unit cell a=4.007 b=4.007 c=6.998 alpha=90.00 beta=90.00 gamma=120.00
Fractional coordinates of all 8 atoms:
Fe 0.000 0.000 0.250
Fe 0.000 0.000 0.750
Fe 0.333 0.667 0.250
Fe 0.667 0.333 0.750
Co 0.333 0.667 0.577
Co 0.333 0.667 0.923
Co 0.667 0.333 0.077
Co 0.667 0.333 0.423

Summary:
electronic total energy = -7.451 eV/atom
DFT formation energy = 334 meV per atom

***

6.
DFT (PBE) results for a relaxed structure of RbH3Pd.

Unit cell a=3.894 b=3.894 c=3.894 alpha=90.00 beta=90.00 gamma=90.00
Fractional coordinates of all 5 atoms:
Rb 0.000 0.000 0.000
H 0.000 0.500 0.500
H 0.500 0.000 0.500
H 0.500 0.500 0.000
Pd 0.500 0.500 0.500

Summary:
relative energy among the computed polymorphs = 38.1 meV per atom
electronic total energy = -3.322 eV/atom

***

Copy entry 1 word for word.
DFT (PBE) results for a relaxed structure of MgNCl2.

Unit cell a=7.596 b=7.596 c=7.596 alpha=43.97 beta=43.97 gamma=43.97
Fractional coordinates of all 4 atoms:
Mg 0.000 0.000 0.000
'''

Result:
DFT (PBE) results for a relaxed structure of MgNCl2.
DFT (PBE) results for a relaxed structure of YCCl3.
DFT (PBE) results for a relaxed structure of PuGa3Au5.
DFT (PBE) results for a relaxed structure of Ac2AsPPt6.
DFT (PBE) results for a relaxed structure of FeCo.
DFT (PBE) results for a relaxed structure of RbH3Pd.
DFT (PBE) results for a relaxed structure of MgNCl2.